[What to do]
It remains to write out the rows further below character by character.

[File]
/*
Record 1
# Cs2MoS3O

A geometry-optimized Cs2MoS3O structure (PBE+U, the Materials Project).

abc: 7.6029 10.0545 12.4004
angles: 90.00 90.00 90.00
With the nearest neighbours (Å) after each atom.
Fractional coordinates of all 28 atoms:
Cs  0.2500  0.1671  0.6238  6 S 3.58-3.76, 2 O 3.90
Cs  0.2500  0.6671  0.8762  6 S 3.58-3.76, 2 O 3.90
Cs  0.7500  0.8329  0.3762  6 S 3.58-3.76, 2 O 3.90
Cs  0.7500  0.3329  0.1238  6 S 3.58-3.76, 2 O 3.90
Cs  0.2500  0.9578  0.1876  2 O 3.21-3.39, 1 S 3.60
Cs  0.2500  0.4578  0.3124  2 O 3.21-3.39, 1 S 3.60
Cs  0.7500  0.0422  0.8124  2 O 3.21-3.39, 1 S 3.60
Cs  0.7500  0.5422  0.6876  2 O 3.21-3.39, 1 S 3.60
Mo  0.2500  0.2429  0.9509  1 O 1.77
Mo  0.2500  0.7429  0.5491  1 O 1.77
Mo  0.7500  0.7571  0.0491  1 O 1.77
Mo  0.7500  0.2571  0.4509  1 O 1.77
S  0.0112  0.3400  0.8834  1 Mo 2.22
S  0.4888  0.8400  0.6166  1 Mo 2.22
S  0.5112  0.6600  0.1166  1 Mo 2.22
S  0.9888  0.1600  0.3834  1 Mo 2.22
S  0.9888  0.6600  0.1166  1 Mo 2.22
S  0.5112  0.1600  0.3834  1 Mo 2.22
S  0.4888  0.3400  0.8834  1 Mo 2.22
S  0.0112  0.8400  0.6166  1 Mo 2.22
S  0.2500  0.0295  0.9035  1 Mo 2.22
S  0.2500  0.5295  0.5965  1 Mo 2.22
S  0.7500  0.9705  0.0965  1 Mo 2.22
S  0.7500  0.4705  0.4035  1 Mo 2.22
O  0.2500  0.2557  0.0933  1 Mo 1.77
O  0.2500  0.7557  0.4067  1 Mo 1.77
O  0.7500  0.7443  0.9067  1 Mo 1.77
O  0.7500  0.2443  0.5933  1 Mo 1.77

***

Record 2
# Cs2MoS2O2

A geometry-optimized Cs2MoS2O2 structure (PBE+U, the Materials Project).

abc: 8.0093 9.6056 11.2845
angles: 90.00 90.00 90.00
With the nearest neighbours (Å) after each atom.
Fractional coordinates of all 28 atoms:
Cs  0.2100  0.8858  0.0878  3 O 3.09-3.19
Cs  0.2900  0.6142  0.5878  3 O 3.09-3.19
Cs  0.2900  0.3858  0.9122  3 O 3.09-3.19
Cs  0.2100  0.1142  0.4122  3 O 3.09-3.19
Cs  0.7900  0.1142  0.9122  3 O 3.09-3.19
Cs  0.7100  0.3858  0.4122  3 O 3.09-3.19
Cs  0.7100  0.6142  0.0878  3 O 3.09-3.19
Cs  0.7900  0.8858  0.5878  3 O 3.09-3.19
Mo  0.1948  0.5000  0.2500  2 O 1.79
Mo  0.3052  0.0000  0.7500  2 O 1.79
Mo  0.8052  0.5000  0.7500  2 O 1.79
Mo  0.6948  0.0000  0.2500  2 O 1.79
S  0.0320  0.6677  0.3253  1 Mo 2.24
S  0.4680  0.8323  0.8253  1 Mo 2.24
S  0.4680  0.1677  0.6747  1 Mo 2.24
S  0.0320  0.3323  0.1747  1 Mo 2.24
S  0.9680  0.3323  0.6747  1 Mo 2.24
S  0.5320  0.1677  0.1747  1 Mo 2.24
S  0.5320  0.8323  0.3253  1 Mo 2.24
S  0.9680  0.6677  0.8253  1 Mo 2.24
O  0.3199  0.5720  0.1340  1 Mo 1.79
O  0.1801  0.9280  0.6340  1 Mo 1.79
O  0.1801  0.0720  0.8660  1 Mo 1.79
O  0.3199  0.4280  0.3660  1 Mo 1.79
O  0.6801  0.4280  0.8660  1 Mo 1.79
O  0.8199  0.0720  0.3660  1 Mo 1.79
O  0.8199  0.9280  0.1340  1 Mo 1.79
O  0.6801  0.5720  0.6340  1 Mo 1.79

***

Record 3
# Cs2Mo3SeO12

A geometry-optimized Cs2Mo3SeO12 structure (PBE+U, the Materials Project).

Summary:
The maximum piezoelectric response is 0.5 C/m².

abc: 7.4185 7.4185 12.9614
angles: 90.00 90.00 120.00
With the nearest neighbours (Å) after each atom.
Fractional coordinates of all 36 atoms:
Cs  0.6667  0.3333  0.2290  6 O 3.12-3.17
Cs  0.3333  0.6667  0.7290  6 O 3.12-3.17
Cs  0.6667  0.3333  0.6017  3 O 3.19
Cs  0.3333  0.6667  0.1017  3 O 3.19
Mo  0.8032  0.6613  0.8978  3 O 1.74-1.86
Mo  0.6613  0.8581  0.3978  3 O 1.74-1.86
Mo  0.8581  0.1968  0.8978  3 O 1.74-1.86
Mo  0.1419  0.8032  0.3978  3 O 1.74-1.86
Mo  0.3387  0.1419  0.8978  3 O 1.74-1.86
Mo  0.1968  0.3387  0.3978  3 O 1.74-1.86
Se  0.0000  0.0000  0.1786  3 O 1.74
Se  0.0000  0.0000  0.6786  3 O 1.74
O  0.7528  0.8708  0.2338  1 Se 1.74
O  0.8820  0.7528  0.7338  1 Se 1.74
O  0.8708  0.1180  0.7338  1 Se 1.74
O  0.1292  0.8820  0.2338  1 Se 1.74
O  0.1180  0.2472  0.2338  1 Se 1.74
O  0.2472  0.1292  0.7338  1 Se 1.74
O  0.4533  0.9118  0.3560  1 Mo 1.86
O  0.5415  0.4533  0.8560  1 Mo 1.86
O  0.9118  0.4585  0.8560  1 Mo 1.86
O  0.0882  0.5415  0.3560  1 Mo 1.86
O  0.4585  0.5467  0.3560  1 Mo 1.86
O  0.5467  0.0882  0.8560  1 Mo 1.86
O  0.1229  0.8725  0.9077  1 Mo 1.84
*/

[Reply]
Record 1
# Cs2MoS3O

A geometry-optimized Cs2MoS3O structure (PBE+U, the Materials Project).

abc: 7.6029 10.0545 12.4004
angles: 90.00 90.00 90.00
With the nearest neighbours (Å) after each atom.
Fractional coordinates of all 28 atoms:
Cs  0.2500  0.1671  0.6238  6 S 3.58-3.76, 2 O 3.90
Cs  0.2500  0.6671  0.8762  6 S 3.58-3.76, 2 O 3.90
Cs  0.7500  0.8329  0.3762  6 S 3.58-3.76, 2 O 3.90
Cs  0.7500  0.3329  0.1238  6 S 3.58-3.76, 2 O 3.90
Cs  0.2500  0.9578  0.1876  2 O 3.21-3.39, 1 S 3.60
Cs  0.2500  0.4578  0.3124  2 O 3.21-3.39, 1 S 3.60
Cs  0.7500  0.0422  0.8124  2 O 3.21-3.39, 1 S 3.60
Cs  0.7500  0.5422  0.6876  2 O 3.21-3.39, 1 S 3.60
Mo  0.2500  0.2429  0.9509  1 O 1.77
Mo  0.2500  0.7429  0.5491  1 O 1.77
Mo  0.7500  0.7571  0.0491  1 O 1.77
Mo  0.7500  0.2571  0.4509  1 O 1.77
S  0.0112  0.3400  0.8834  1 Mo 2.22
S  0.4888  0.8400  0.6166  1 Mo 2.22
S  0.5112  0.6600  0.1166  1 Mo 2.22
S  0.9888  0.1600  0.3834  1 Mo 2.22
S  0.9888  0.6600  0.1166  1 Mo 2.22
S  0.5112  0.1600  0.3834  1 Mo 2.22
S  0.4888  0.3400  0.8834  1 Mo 2.22
S  0.0112  0.8400  0.6166  1 Mo 2.22
S  0.2500  0.0295  0.9035  1 Mo 2.22
S  0.2500  0.5295  0.5965  1 Mo 2.22
S  0.7500  0.9705  0.0965  1 Mo 2.22
S  0.7500  0.4705  0.4035  1 Mo 2.22
O  0.2500  0.2557  0.0933  1 Mo 1.77
O  0.2500  0.7557  0.4067  1 Mo 1.77
O  0.7500  0.7443  0.9067  1 Mo 1.77
O  0.7500  0.2443  0.5933  1 Mo 1.77

***

Record 2
# Cs2MoS2O2

A geometry-optimized Cs2MoS2O2 structure (PBE+U, the Materials Project).

abc: 8.0093 9.6056 11.2845
angles: 90.00 90.00 90.00
With the nearest neighbours (Å) after each atom.
Fractional coordinates of all 28 atoms:
Cs  0.2100  0.8858  0.0878  3 O 3.09-3.19
Cs  0.2900  0.6142  0.5878  3 O 3.09-3.19
Cs  0.2900  0.3858  0.9122  3 O 3.09-3.19
Cs  0.2100  0.1142  0.4122  3 O 3.09-3.19
Cs  0.7900  0.1142  0.9122  3 O 3.09-3.19
Cs  0.7100  0.3858  0.4122  3 O 3.09-3.19
Cs  0.7100  0.6142  0.0878  3 O 3.09-3.19
Cs  0.7900  0.8858  0.5878  3 O 3.09-3.19
Mo  0.1948  0.5000  0.2500  2 O 1.79
Mo  0.3052  0.0000  0.7500  2 O 1.79
Mo  0.8052  0.5000  0.7500  2 O 1.79
Mo  0.6948  0.0000  0.2500  2 O 1.79
S  0.0320  0.6677  0.3253  1 Mo 2.24
S  0.4680  0.8323  0.8253  1 Mo 2.24
S  0.4680  0.1677  0.6747  1 Mo 2.24
S  0.0320  0.3323  0.1747  1 Mo 2.24
S  0.9680  0.3323  0.6747  1 Mo 2.24
S  0.5320  0.1677  0.1747  1 Mo 2.24
S  0.5320  0.8323  0.3253  1 Mo 2.24
S  0.9680  0.6677  0.8253  1 Mo 2.24
O  0.3199  0.5720  0.1340  1 Mo 1.79
O  0.1801  0.9280  0.6340  1 Mo 1.79
O  0.1801  0.0720  0.8660  1 Mo 1.79
O  0.3199  0.4280  0.3660  1 Mo 1.79
O  0.6801  0.4280  0.8660  1 Mo 1.79
O  0.8199  0.0720  0.3660  1 Mo 1.79
O  0.8199  0.9280  0.1340  1 Mo 1.79
O  0.6801  0.5720  0.6340  1 Mo 1.79

***

Record 3
# Cs2Mo3SeO12

A geometry-optimized Cs2Mo3SeO12 structure (PBE+U, the Materials Project).

Summary:
The maximum piezoelectric response is 0.5 C/m².

abc: 7.4185 7.4185 12.9614
angles: 90.00 90.00 120.00
With the nearest neighbours (Å) after each atom.
Fractional coordinates of all 36 atoms:
Cs  0.6667  0.3333  0.2290  6 O 3.12-3.17
Cs  0.3333  0.6667  0.7290  6 O 3.12-3.17
Cs  0.6667  0.3333  0.6017  3 O 3.19
Cs  0.3333  0.6667  0.1017  3 O 3.19
Mo  0.8032  0.6613  0.8978  3 O 1.74-1.86
Mo  0.6613  0.8581  0.3978  3 O 1.74-1.86
Mo  0.8581  0.1968  0.8978  3 O 1.74-1.86
Mo  0.1419  0.8032  0.3978  3 O 1.74-1.86
Mo  0.3387  0.1419  0.8978  3 O 1.74-1.86
Mo  0.1968  0.3387  0.3978  3 O 1.74-1.86
Se  0.0000  0.0000  0.1786  3 O 1.74
Se  0.0000  0.0000  0.6786  3 O 1.74
O  0.7528  0.8708  0.2338  1 Se 1.74
O  0.8820  0.7528  0.7338  1 Se 1.74
O  0.8708  0.1180  0.7338  1 Se 1.74
O  0.1292  0.8820  0.2338  1 Se 1.74
O  0.1180  0.2472  0.2338  1 Se 1.74
O  0.2472  0.1292  0.7338  1 Se 1.74
O  0.4533  0.9118  0.3560  1 Mo 1.86
O  0.5415  0.4533  0.8560  1 Mo 1.86
O  0.9118  0.4585  0.8560  1 Mo 1.86
O  0.0882  0.5415  0.3560  1 Mo 1.86
O  0.4585  0.5467  0.3560  1 Mo 1.86
O  0.5467  0.0882  0.8560  1 Mo 1.86
O  0.1229  0.8725  0.9077  1 Mo 1.84